Microsoft is giving the highest bounty to hackers and security experts if they find vulnerabilities and exploits in its new Windows 8.1, a major update to Microsoft’s latest operating system. Valid submissions of serious vulnerabilities that come also with ideas to defend Windows will be able to get the BlueHat bonus which is $50.000 but they very hard to find. It is clear that Microsoft is very serious about security, they also give up to $11.000 for Internet Explorer 11 preview in Windows 8.1 preview. Preview means that it is beta version and it is not yet finalized to be released. Microsoft is the first company to give bounty for hacking software in beta version and it is doing it to ensure that their stable release will be as secure as possible.
Pot Pigs: The new definition for party animals
Washington legalized marijuana about a year ago and people found many usages, some of them really unique. A pig farmer feeds his pigs with marijuana, cannabis leaf trim. Customers say that the meat tastes ‘more savoury’ and they even make pre-orders to taste it. The Pop Pigs, as he calls them, eat marijuana during the last two months of their lives. According to the farmer, pigs gain weight faster with this unusual diet of cannabis leaf, vodka and beer. His customers love the flavor of the fat and they keep coming for more. He even noticed that the pigs get stoned and they are lying around, similar to human stoners. I would taste this bacon if I had the chance !
Chrome vulnerability allows hackers to access your web camera

There are several ways for hackers to gain access to your computer but they need to somehow install a malware on your computer. Some times people make it easier for them, they install software with vulnerabilities and hackers can gain access to their computers by exploiting those vulnerabilities. In this way they skip the first part, to find a way to install their malware to your system. Many internet users have Google Chrome as their default web browser. Are you one of them? Guess what? you are vulnerable and hackers can access your web camera.
Windows Stores to Best Buys
Microsoft is moving on many fronts, after the announcement of Office Mobile to iPhone Microsoft announced a new partnership with Best Buy to put Windows Stores to their locations. The total numbers of Windows Stores is 600, 500 in U.S and 100 in Canada. It is basically Microsoft stores where users will be able to see and try several devices and services. Microsoft will try to show that using its products make the life of the user easier and more productive. Among the products there will be Windows based PCs, tablets, Windows phones, Xbox and Microsoft Office. I am very curious to see how all this will affect the sales of Windows 8 and Windows Phones.
Microsoft Office for iPhone
Microsoft and Apple are competitors but from time to time Microsoft ports its solutions to Apple’s operating systems. The most popular product is Microsoft office and they announced Office Mobile for iPhone. The application is going to be free for the users that have Office 365 subscription. This will allow iPhone users to open, edit and share their documents through the app. It is a good deal for both companies and their users. It is nice watch companies from time to time working together. It is worth to mention that Microsoft has Apple shares since the beginning, when Bill Gates and Steve Jobs started those big tech giants. Microsoft created several ads saying that Google Docs are not for professionals and they mess with the formatting.
Mobile malware can be activated with sound, light or vibration
+++
No. 1
C2H6O | wB97M-V/def2-TZVPD

Results
SMILES string = C=C.O
largest force on an atom = 4.8 eV Å⁻¹
DFT total energy = -154.975306 Ha
2S+1 = 1

Atoms and positions in Å:
C  -0.9707  -0.7934  1.5345
C  -0.9990  -0.1778  0.3829
H  -0.9358  -1.7745  1.4976
H  -1.0982  -0.2357  2.5318
H  -1.0640  0.8304  0.3959
H  -1.1148  -0.6792  -0.6426
O  1.9161  0.7349  -1.6113
H  1.8416  0.5756  -2.5087
H  2.4247  1.5199  -1.5799

No. 2
C2H6O | wB97M-V/def2-TZVPD

Results
SMILES string = CCO
largest force on an atom = 3.7 eV Å⁻¹
DFT total energy = -155.004499 Ha
2S+1 = 1

Atoms and positions in Å:
C  0.1033  1.1994  0.2401
C  0.0957  -0.1372  -0.6048
O  -0.2983  -1.1555  0.3329
H  -0.2291  0.9761  1.2449
H  1.0338  1.7456  0.3186
H  -0.5415  1.9423  -0.2653
H  1.1574  -0.2920  -0.7854
H  -0.6547  0.0000  -1.3752
H  0.3769  -1.7980  0.4964

No. 3
C2H6O | wB97M-V/def2-TZVPD

Results
charge = +1
largest force on an atom = 2.5 eV Å⁻¹
DFT total energy = -154.634055 Ha
2S+1 = 2
expectation value of S² = 0.7550

Atoms and positions in Å:
C  -0.1300  0.4912  0.1343
O  -0.5090  -0.5561  0.9109
C  0.6393  -0.0248  -1.0925
H  -0.9941  1.1802  -0.2227
H  0.3967  1.2361  0.7461
H  -0.6685  -0.2555  1.8419
H  -0.0077  -0.8203  -1.5098
H  0.6251  0.7573  -1.8617
H  1.5970  -0.5185  -0.9661

No. 4
C2H6O2 | wB97M-V/def2-TZVPD

Results
SMILES string = O=CO.C
largest force on an atom = 1.3 eV Å⁻¹
DFT total energy = -230.256102 Ha
2S+1 = 1

Atoms and positions in Å:
O  -0.3390  -0.7138  2.9150
C  -0.5529  -0.7148  1.7464
O  -1.6302  -0.0315  1.3247
H  0.0580  -1.2219  0.9339
H  -1.9392  -0.0384  0.4151
C  2.1284  1.1536  -4.5876
H  2.4891  0.6851  -3.6638
H  1.0476  1.1412  -4.3989
H  2.1263  0.6321  -5.5469
H  2.6397  2.0942  -4.8508

No. 5
C2H6O2 | wB97M-V/def2-TZVPD

Results
largest force on an atom = 7.6 eV Å⁻¹
DFT total energy = -230.107149 Ha
2S+1 = 1

Atoms and positions in Å:
C  -0.5505  0.6856  0.0233
C  0.4785  -0.2780  0.5004
H  -1.2230  -0.9260  -0.5986
H  0.0889  1.6797  -0.2538
H  -1.2921  0.8988  0.7329
H  -0.0454  -1.2223  0.3426
H  0.8157  -0.5373  1.8282
H  1.4371  -0.5537  -1.2446
O  -1.3874  0.0690  -1.0568
O  1.6782  0.1840  -0.2736

No. 6
C2H6O2 | wB97M-V/def2-TZVPD

Results
SMILES string = C=CO.O
largest force on an atom = 3.0 eV Å⁻¹
DFT total energy = -230.225392 Ha
2S+1 = 1

Atoms and positions in Å:
C  1.2679  -0.9307  0.5608
C  0.7175  0.0766  1.2786
O  -0.5076  0.7145  0.8289
H  2.0754  -1.5601  0.9719
H  1.0653  -0.9750  -0.5467
H  0.9537  0.1491  2.4036
H  -0.8969  0.0278  0.1543
O  -1.0877  0.0930  -1.9697
H  -0.6506  0.9262  -2.1541
H  -1.6967  0.0959  -2.7391

No. 7
C2H6O2 | wB97M-V/def2-TZVPD

Results
SMILES string = C1CO1.O
largest force on an atom = 0.3 eV Å⁻¹
DFT total energy = -230.229612 Ha
2S+1 = 1

Atoms and positions in Å:
C  -1.1339  -0.5291  -0.0060
C  0.0219  -0.7811  0.8527
O  -0.5459  0.5235  0.7590
H  -2.1257  -0.8312  0.3262
H  -0.9912  -0.4451  -1.0821
H  -0.1212  -1.2673  1.8152
H  1.0057  -0.8779  0.3985
+++
I like to read and get informed about vulnerabilities and malicious software for mobile devices. There are news on that field every day and those are the ones that are public. I can’t imagine what else is not known due to the fact that are not yet published or are found by black hat hackers and remain secret. University of Alabama’s researches have published a research paper with the title “Sensing-Enabled Channels for Hard-to-Detect Command and Control of Mobile Devices”. In this paper they show that it is possible to activate a malware hidden in your mobile device with sound, light or vibration.
Malicious iOS charger
People are getting more and more suspicious when downloading applications to their devices and hackers now try to gain access through hardware. Mobile users usually prefer something cheaper that is suitable with their device instead on the expensive original peripheral and/or accessory. Researchers have created a custom iPhone charger that can infect any iOS device with malware. They said that all users and all iOS devices are affected by this malicious charger. If this wasn’t enough, attackers hide their malware like Apple does with its build-in applications and users can’t uninstall it.
Windows zero day vulnerability allows SYSTEM access to all Windows versions
I read about exploits for all operating systems but this one really scared me. Security researchers found a zero day vulnerability in the Windows core that when exploited gives SYSTEM access to all supported versions of Windows so far. This includes Windows 7 with latest updates and Windows 8. Microsoft confirmed the vulnerability and I hope that they are working on a fix. A vulnerability that is more than 20 years old, in my Country it can legally drink alcohol, drive a car and vote! It sounds like a hackers holy grail and in wrong hands it can make a lot of harm.
France Dreams of Free Software Digital Age

France has so much respect for its cultural industry, including the ones produced in this digital age. In order to further improve and preserve the works of its artists, the government has made various steps as forms of protecting their culture. One proposal that is receiving so much attention is Mission Lescure, a study commissioned by the government and led by Pierre Lescure, the former CEO of the French broadcast group Canal+. This study aims to fight commercial counterfeiting and protect French cultural works, including music. It also suggests CSA as the new watchdog that will replace Hadopi. Its task will be to enforce antipiracy regulations and serve as vanguard for all “cultural and audiovisual media, linear as well as non-linear.”
Authorities need Apple to decrypt iPhone data
Authorities seize digital devices and they want to use the data inside them to find evidence. Some times they can’t decrypt the data and in case of iPhone they ask Apple to decrypt the data for them. In fact, the number of those cases is so big that Apple has a waiting list for them. I don’t think even Apple can decrypt the data as the algorithms used in such devices are not that easy to crack but they don’t have to either. If someone, and in this case Apple, bypass the security lock can gain access to all your unencrypted data. It is believed that Apple built a backdoor to its OS to gain access to any device for whatever reason. Apple then sends the unencrypted data back to the police and they use it to catch bad guys or put them into jail. Some times it is scary how easy it is to unlock a phone, even if it is the company who created its operating system.